-- begin --
Material: KSbN2
Method: DFT, GGA-PBE
State: optimized geometry

Lattice parameters (Å, degrees): 5.963 11.954 16.659 90.00 90.00 90.00
Space group Pbca (No. 61)
One atom of each set of equivalent atoms:
K (0.202, 0.235, 0.184) (multiplicity 8)
K (0.243, 0.009, 0.560) (multiplicity 8)
Sb (0.222, 0.239, 0.436) (multiplicity 8)
Sb (0.229, 0.009, 0.812) (multiplicity 8)
N (0.040, 0.681, 0.999) (multiplicity 8)
N (0.056, 0.524, 0.210) (multiplicity 8)
N (0.125, 0.165, 0.842) (multiplicity 8)
N (0.132, 0.596, 0.400) (multiplicity 8)

The formation energy is 0.039 eV per atom. Its total energy is -5.259 eV per atom.
-- stop --

Please restate the entries above word for word.

Material: KSbN2
Method: DFT, GGA-PBE
State: optimized geometry

Lattice parameters (Å, degrees): 5.963 11.954 16.659 90.00 90.00 90.00
Space group Pbca (No. 61)
One atom of each set of equivalent atoms:
K (0.202, 0.235, 0.184) (multiplicity 8)
K (0.243, 0.009, 0.560) (multiplicity 8)
Sb (0.222, 0.239, 0.436) (multiplicity 8)
Sb (0.229, 0.009, 0.812) (multiplicity 8)
N (0.040, 0.681, 0.999) (multiplicity 8)
N (0.056, 0.524, 0.210) (multiplicity 8)
N (0.125, 0.165, 0.842) (multiplicity 8)
N (0.132, 0.596, 0.400) (multiplicity 8)

The formation energy is 0.039 eV per atom. Its total energy is -5.259 eV per atom.